== Wanted ==
The reader should filter the lines further down: keep the lines with the word "method".
== File ==
-- begin --
{"formula": "C24H62IO24", "method": "ωB97M-V/def2-TZVPD", "lumo_energy_ev": 1.445, "homo_energy_ev": -5.7, "homo_lumo_gap_ha": 0.26294, "charge": -1, "spin_multiplicity": 1, "species": ["C", "O", "C", "C", "C", "C", "C", "C", "C", "C", "C", "O", "C", "C", "C", "C", "C", "I", "C", "C", "C", "O", "C", "C", "O", "O", "C", "C", "C", "O", "C", "O", "H", "H", "H", "H", "H", "H", "H", "H", "H", "H", "H", "H", "H", "H", "H", "H", "H", "H", "H", "H", "H", "H", "H", "H", "H", "H", "H", "H", "O", "H", "H", "O", "H", "H", "O", "H", "H", "O", "H", "H", "O", "H", "H", "O", "H", "H", "O", "H", "H", "O", "H", "H", "O", "H", "H", "O", "H", "H", "O", "H", "H", "O", "H", "H", "O", "H", "H", "O", "H", "H", "O", "H", "H", "O", "H", "H", "O", "H", "H"], "positions_angstrom": [[-1.30, 6.35, -1.33], [-2.31, 5.63, -0.57], [-1.68, 4.58, 0.20], [-2.83, 3.85, 0.98], [-3.90, 3.25, -0.04], [-3.77, 1.65, 0.02], [-3.98, 0.95, -1.37], [-3.76, -0.60, -1.41], [-2.64, -1.20, -0.47], [-1.26, -1.44, -1.18], [-0.52, -0.38, -1.87], [-1.01, 0.94, -1.94], [0.78, -0.59, -2.53], [1.41, -1.91, -2.49], [2.79, -2.06, -3.21], [2.55, -2.66, -4.66], [1.24, -2.09, -5.36], [4.30, -2.35, -5.96], [0.70, -2.95, -1.78], [-0.62, -2.76, -1.15], [-1.22, -4.02, -0.48], [-2.37, -4.37, -0.51], [-0.18, -4.94, 0.25], [-0.58, -5.60, 1.60], [-1.01, -4.82, 2.48], [-0.49, -6.86, 1.85], [1.03, -5.10, -0.34], [2.12, -6.01, 0.31], [3.33, -5.18, 0.82], [3.47, -4.01, 0.51], [1.37, -4.36, -1.67], [2.12, -4.83, -2.50], [-1.83, 7.04, -2.04], [-0.65, 5.64, -1.92], [-0.69, 6.93, -0.57], [-1.18, 3.81, -0.44], [-0.92, 5.07, 0.87], [-2.35, 3.08, 1.63], [-3.31, 4.60, 1.68], [-4.94, 3.50, 0.26], [-3.62, 3.55, -1.07], [-2.69, 1.47, 0.31], [-4.43, 1.21, 0.83], [-3.41, 1.50, -2.17], [-5.07, 1.13, -1.64], [-3.47, -0.87, -2.47], [-4.73, -1.15, -1.24], [-2.41, -0.61, 0.45], [-3.02, -2.19, -0.11], [-0.94, 1.27, -2.85], [1.29, 0.25, -3.06], [3.51, -2.63, -2.59], [3.21, -1.02, -3.31], [2.41, -3.77, -4.63], [1.22, -2.40, -6.44], [0.33, -2.54, -4.88], [1.17, -0.98, -5.21], [1.70, -6.65, 1.14], [2.49, -6.74, -0.46], [4.11, -5.70, 1.46], [3.47, -1.32, 1.72], [3.42, -2.24, 1.44], [4.02, -0.90, 1.05], [-1.32, 9.15, -1.56], [-2.21, 9.13, -1.20], [-1.07, 10.08, -1.55], [-0.47, 2.59, 2.37], [-0.90, 2.01, 3.00], [0.23, 2.05, 1.98], [1.65, -5.41, 4.18], [1.02, -5.84, 3.58], [1.36, -4.48, 4.19], [2.53, 1.76, 3.07], [2.49, 0.84, 2.79], [3.08, 2.19, 2.40], [3.00, 3.93, 5.54], [3.81, 4.41, 5.37], [3.02, 3.20, 4.91], [-5.79, 5.42, -1.32], [-5.25, 6.04, -0.81], [-6.65, 5.86, -1.37], [3.74, -7.22, 3.38], [3.01, -6.59, 3.43], [4.32, -6.97, 4.11], [-6.44, 2.69, 1.99], [-6.16, 2.51, 2.89], [-7.21, 2.13, 1.87], [6.28, -8.12, 2.18], [5.39, -8.13, 2.54], [6.52, -7.19, 2.18], [3.60, -4.03, 6.13], [2.97, -4.45, 5.53], [3.32, -3.11, 6.14], [-5.19, 5.33, -4.27], [-4.92, 5.15, -3.36], [-5.97, 4.77, -4.39], [0.67, 3.44, 8.07], [0.63, 2.52, 7.79], [1.23, 3.87, 7.40], [5.34, -0.89, -1.93], [5.85, -1.61, -1.53], [6.01, -0.29, -2.28], [5.55, -4.91, 3.64], [6.19, -4.69, 4.32], [4.93, -4.17, 3.64], [0.23, 3.86, -2.30], [-0.27, 3.69, -3.10], [0.19, 3.02, -1.82], [-4.36, 7.63, -6.45], [-4.79, 7.05, -5.82], [-3.67, 7.09, -6.84]]}
-- stop --
== Outcome ==
{"formula": "C24H62IO24", "method": "ωB97M-V/def2-TZVPD", "lumo_energy_ev": 1.445, "homo_energy_ev": -5.7, "homo_lumo_gap_ha": 0.26294, "charge": -1, "spin_multiplicity": 1, "species": ["C", "O", "C", "C", "C", "C", "C", "C", "C", "C", "C", "O", "C", "C", "C", "C", "C", "I", "C", "C", "C", "O", "C", "C", "O", "O", "C", "C", "C", "O", "C", "O", "H", "H", "H", "H", "H", "H", "H", "H", "H", "H", "H", "H", "H", "H", "H", "H", "H", "H", "H", "H", "H", "H", "H", "H", "H", "H", "H", "H", "O", "H", "H", "O", "H", "H", "O", "H", "H", "O", "H", "H", "O", "H", "H", "O", "H", "H", "O", "H", "H", "O", "H", "H", "O", "H", "H", "O", "H", "H", "O", "H", "H", "O", "H", "H", "O", "H", "H", "O", "H", "H", "O", "H", "H", "O", "H", "H", "O", "H", "H"], "positions_angstrom": [[-1.30, 6.35, -1.33], [-2.31, 5.63, -0.57], [-1.68, 4.58, 0.20], [-2.83, 3.85, 0.98], [-3.90, 3.25, -0.04], [-3.77, 1.65, 0.02], [-3.98, 0.95, -1.37], [-3.76, -0.60, -1.41], [-2.64, -1.20, -0.47], [-1.26, -1.44, -1.18], [-0.52, -0.38, -1.87], [-1.01, 0.94, -1.94], [0.78, -0.59, -2.53], [1.41, -1.91, -2.49], [2.79, -2.06, -3.21], [2.55, -2.66, -4.66], [1.24, -2.09, -5.36], [4.30, -2.35, -5.96], [0.70, -2.95, -1.78], [-0.62, -2.76, -1.15], [-1.22, -4.02, -0.48], [-2.37, -4.37, -0.51], [-0.18, -4.94, 0.25], [-0.58, -5.60, 1.60], [-1.01, -4.82, 2.48], [-0.49, -6.86, 1.85], [1.03, -5.10, -0.34], [2.12, -6.01, 0.31], [3.33, -5.18, 0.82], [3.47, -4.01, 0.51], [1.37, -4.36, -1.67], [2.12, -4.83, -2.50], [-1.83, 7.04, -2.04], [-0.65, 5.64, -1.92], [-0.69, 6.93, -0.57], [-1.18, 3.81, -0.44], [-0.92, 5.07, 0.87], [-2.35, 3.08, 1.63], [-3.31, 4.60, 1.68], [-4.94, 3.50, 0.26], [-3.62, 3.55, -1.07], [-2.69, 1.47, 0.31], [-4.43, 1.21, 0.83], [-3.41, 1.50, -2.17], [-5.07, 1.13, -1.64], [-3.47, -0.87, -2.47], [-4.73, -1.15, -1.24], [-2.41, -0.61, 0.45], [-3.02, -2.19, -0.11], [-0.94, 1.27, -2.85], [1.29, 0.25, -3.06], [3.51, -2.63, -2.59], [3.21, -1.02, -3.31], [2.41, -3.77, -4.63], [1.22, -2.40, -6.44], [0.33, -2.54, -4.88], [1.17, -0.98, -5.21], [1.70, -6.65, 1.14], [2.49, -6.74, -0.46], [4.11, -5.70, 1.46], [3.47, -1.32, 1.72], [3.42, -2.24, 1.44], [4.02, -0.90, 1.05], [-1.32, 9.15, -1.56], [-2.21, 9.13, -1.20], [-1.07, 10.08, -1.55], [-0.47, 2.59, 2.37], [-0.90, 2.01, 3.00], [0.23, 2.05, 1.98], [1.65, -5.41, 4.18], [1.02, -5.84, 3.58], [1.36, -4.48, 4.19], [2.53, 1.76, 3.07], [2.49, 0.84, 2.79], [3.08, 2.19, 2.40], [3.00, 3.93, 5.54], [3.81, 4.41, 5.37], [3.02, 3.20, 4.91], [-5.79, 5.42, -1.32], [-5.25, 6.04, -0.81], [-6.65, 5.86, -1.37], [3.74, -7.22, 3.38], [3.01, -6.59, 3.43], [4.32, -6.97, 4.11], [-6.44, 2.69, 1.99], [-6.16, 2.51, 2.89], [-7.21, 2.13, 1.87], [6.28, -8.12, 2.18], [5.39, -8.13, 2.54], [6.52, -7.19, 2.18], [3.60, -4.03, 6.13], [2.97, -4.45, 5.53], [3.32, -3.11, 6.14], [-5.19, 5.33, -4.27], [-4.92, 5.15, -3.36], [-5.97, 4.77, -4.39], [0.67, 3.44, 8.07], [0.63, 2.52, 7.79], [1.23, 3.87, 7.40], [5.34, -0.89, -1.93], [5.85, -1.61, -1.53], [6.01, -0.29, -2.28], [5.55, -4.91, 3.64], [6.19, -4.69, 4.32], [4.93, -4.17, 3.64], [0.23, 3.86, -2.30], [-0.27, 3.69, -3.10], [0.19, 3.02, -1.82], [-4.36, 7.63, -6.45], [-4.79, 7.05, -5.82], [-3.67, 7.09, -6.84]]}